Room 7
Assyrian Warfare
The Assyrians began using iron weapons and armour in Mesopotamia around 1200 B.C. They effectively employed war chariots. They were not the first to do this but they were the first to organize them into a cavalry.
The Assyrians established the largest army up to that time in the Mediterranean. Their armies had professional soldiers, infantry, charioteers, mounted archers, fast horses, engineers and wagoners. The most important unit was the royal bodyguard, perhaps the first regular army. The other units were amassed as need arose. In battles the Assyrians used bows, slings, iron swords and lances, battering rams, oil firebombs, but relied on iron javelins.
(Misplaced calculated molecules)
<<<
1.
Entry from the OMol25 dataset: a structure of composition C4H6ClNOS at a distorted geometry (ωB97M-V/def2-TZVPD).

Geometry (Å):
C (0.31, 0.06, 0.38)
C (-0.10, -1.40, 0.72)
C (0.84, 2.30, 1.31)
C (1.48, 2.88, 0.21)
H (0.27, 0.48, -3.12)
H (0.21, -1.54, 1.70)
H (0.05, -2.23, -0.09)
H (0.41, 2.79, 2.35)
H (1.21, 4.27, 0.18)
H (1.97, 2.26, -0.67)
N (0.29, 0.37, -0.82)
O (0.76, 0.76, 1.41)
S (0.20, -0.73, -2.11)
Cl (-1.79, -1.54, 0.71)

The energy above the lowest of the compared OMol25 structures with the same formula, charge and spin is 564.1 kJ/mol. The charge is 0. The calculation puts the HOMO energy at -8.6 eV. The spin multiplicity is 1.



2.
Entry from the OMol25 dataset: the molecule C21H25NO4 (ωB97M-V/def2-TZVPD).

Geometry (Å):
C (-4.58, -2.73, 0.07)
C (-5.78, -1.88, 0.47)
C (-7.08, -2.39, -0.14)
H (-7.00, -2.40, -1.23)
H (-7.29, -3.39, 0.22)
H (-7.91, -1.73, 0.14)
H (-5.86, -1.84, 1.56)
O (-5.60, -0.53, -0.01)
C (-4.85, 0.28, 0.73)
O (-4.34, -0.02, 1.78)
C (-4.77, 1.69, 0.13)
C (-5.07, 1.76, -1.37)
H (-6.06, 1.36, -1.56)
H (-5.04, 2.81, -1.68)
H (-4.34, 1.21, -1.95)
O (-3.55, 2.32, 0.48)
C (-2.36, 1.71, 0.24)
C (-1.24, 2.39, 0.71)
C (0.03, 1.89, 0.51)
C (0.22, 0.69, -0.16)
C (-0.90, -0.01, -0.60)
C (-2.18, 0.49, -0.42)
H (-3.02, -0.08, -0.78)
H (-0.76, -0.95, -1.10)
C (1.55, 0.07, -0.40)
O (1.69, -1.13, -0.54)
N (2.59, 0.94, -0.49)
H (2.42, 1.92, -0.36)
C (3.95, 0.50, -0.64)
H (3.91, -0.55, -0.94)
H (4.44, 1.08, -1.42)
C (4.74, 0.63, 0.68)
C (6.14, 0.11, 0.50)
C (7.19, 0.98, 0.23)
C (8.47, 0.49, 0.03)
C (8.71, -0.87, 0.10)
C (7.67, -1.74, 0.36)
C (6.39, -1.25, 0.56)
H (5.58, -1.93, 0.77)
H (7.85, -2.80, 0.41)
H (9.71, -1.25, -0.06)
H (9.28, 1.18, -0.17)
H (7.01, 2.04, 0.18)
H (4.22, 0.06, 1.45)
H (4.76, 1.68, 0.98)
H (0.87, 2.44, 0.92)
H (-1.40, 3.32, 1.24)
H (-5.52, 2.28, 0.67)
H (-4.74, -3.76, 0.41)
H (-3.68, -2.35, 0.53)
H (-4.46, -2.73, -1.01)

The energy above the lowest of the compared OMol25 structures with the same formula, charge and spin is 41.2 kJ/mol. The charge is 0. Its structure (SMILES) is CC(C)OC(=O)[C@H](C)Oc1ccc(C(=O)NCCc2ccccc2)cc1. The calculation puts the HOMO energy at -8.6 eV. The spin multiplicity is 1.



3.
Entry from the OMol25 dataset: the molecule C5H7NO at a distorted geometry (ωB97M-V/def2-TZVPD).

Geometry (Å):
C (1.99, 0.76, -0.05)
C (0.55, 0.33, -0.10)
C (-0.03, -1.01, 0.17)
C (-0.62, 1.05, -0.20)
O (-0.15, -1.89, -0.94)
N (-2.63, -0.34, 0.55)
C (-1.45, -0.02, 0.24)
H (-0.97, -2.38, -0.79)
H (-3.24, 0.48, 0.68)
H (0.28, -1.52, 1.08)
H (-0.84, 2.05, -0.55)
H (2.11, 1.84, -0.09)
H (2.46, 0.37, 0.86)
H (2.55, 0.28, -0.87)

The energy above the lowest of the compared OMol25 structures with the same formula, charge and spin is 253.7 kJ/mol. The charge is 0. Its structure (SMILES) is [H]/N=C1\C=C(C)[C@@H]1O. The calculation puts the HOMO energy at -9.0 eV. The spin multiplicity is 1.



no.,E_tot (Ha)
1,-1144.1936
2,-1170.9755
3,-324.6278

* * * * *

1.
# C5H8O2
>>>

To get across rivers they used boats made from inflated animals skins, and, while campaigning, they carried few supplies, living instead off of food captured in enemy territory. Artwork depicts Assyrian soldiers destroying buildings with pickaxes and crowbars and then, carrying off booty. [Source: History of Warfare by John Keegan, Vintage Books]
Towns that refused to pay tribute were sacked. According to one tablet one town was “crushed like a clay pot” and the population and leaders were made prisoners “like a herd of sheep” as the Assyrian army carried away booty.
Assyrian Chariots
The Assyrians employed sophisticated siege tactics, and formed corps ancillary to the army’s main fighting force but they were primarily a chariot-based force.
Fighting chariots often accommodated two people—one rider and one archer.
Early charioteers often swept down out of the mountains, encircled their flat-footed and unarmored foes, and picked them off from 100 or 200 yards away with arrows fired from sophisticated bows.

Assyrian Attack on a Town
The ruthless, formidable and well organized Assyrians were perhaps the greatest charioteers of the ancient world. They dominated the ancient world from the 9th century to 7th century B.C. ,
Most of what is known about Assyrian chariots has been gleaned from alabaster reliefs now in the British Museum. Their chariots come in a lightweight two-horse model and a heavier four-horse version. They appear to have been made from wood and rawhide.
What comes next are data records, not part of the article =
(1)
C26H25N5O2V as an isolated structure at a distorted geometry, computed with ωB97M-V/def2-TZVPD.

```
59
C26H25N5O2V ωB97M-V/def2-TZVPD
V -0.2125 -0.8069 0.4238
O -3.6757 -2.5374 1.4713
C -2.5115 -2.2648 1.4987
N -1.6513 -2.0592 0.4108
C -1.8069 -2.6597 -0.8513
O -2.7309 -3.2829 -1.2745
C -0.4739 -2.5993 -1.6105
C -0.2957 -3.2993 -2.7690
C 0.9704 -3.3688 -3.3256
C 2.0325 -2.7581 -2.6874
C 1.7948 -2.0546 -1.5299
N 0.5630 -1.9529 -1.0008
C -1.7418 -2.1341 2.7993
C -2.3889 -2.3049 4.0022
C -1.6347 -2.2419 5.1621
C -0.2694 -2.0116 5.0689
C 0.2926 -1.8365 3.8189
N -0.4214 -1.8938 2.6880
H -1.1578 -3.7968 -3.1955
H 1.1276 -3.9199 -4.2463
H 3.0398 -2.8162 -3.0752
H 2.5937 -1.5510 -1.0143
H -3.4568 -2.4946 4.0003
H -2.1058 -2.3784 6.1296
H 0.3580 -1.9706 5.9514
H 1.3549 -1.6519 3.7147
C 2.3272 3.5648 -2.3967
N 2.2505 2.1320 -2.1078
C 2.4381 1.2563 -3.2548
C 1.2584 1.6875 -1.1589
C -0.1799 1.4824 -1.6135
C -0.7184 2.2979 -2.5994
C -2.0679 2.2142 -2.9338
C -2.8900 1.3220 -2.2676
C -2.3493 0.4887 -1.2900
C -0.9762 0.5219 -0.9509
H 3.3624 3.8911 -2.4994
H 1.8831 4.1270 -1.5720
H 1.8044 3.8644 -3.3137
H 3.1573 1.7024 -3.9427
H 1.5186 1.0608 -3.8259
H 2.8512 0.2912 -2.9448
H 1.2774 2.3751 -0.3109
H 1.6089 0.7254 -0.7454
H -0.0921 3.0186 -3.1079
H -2.4722 2.8581 -3.7089
H -3.9444 1.2564 -2.5166
H -3.0221 -0.2133 -0.8136
C 0.6802 2.8196 3.3366
C 1.7441 2.0368 2.9248
C 1.4833 0.9445 2.1264
N 0.2388 0.6318 1.7397
C -0.7999 1.3810 2.1668
C -0.6100 2.4863 2.9594
H 0.8544 3.6927 3.9548
H 2.7628 2.2631 3.2128
H 2.2800 0.2983 1.7855
H -1.7874 1.0948 1.8371
H -1.4638 3.0722 3.2717
```

Calculated values
* gap between HOMO and LUMO (spin up / spin down): 7.23 / 7.20 eV
* lowest unoccupied orbital energy (spin up / spin down): -3.51 / -3.54 eV
* energy above the lowest of the compared OMol25 structures with the same formula, charge and spin: 177.93 kJ/mol
* charge: +1
* spin multiplicity: 3

=====

(2)
C26H25N5O8P2PbS as an isolated structure, computed with ωB97M-V/def2-TZVPD.

```
68
C26H25N5O8P2PbS ωB97M-V/def2-TZVPD
Pb 1.1214 -0.1741 -0.0776
C -4.4873 3.2754 -1.4154
C -3.1041 3.3815 -1.4694
C -2.3078 2.2455 -1.5132
C -2.8816 0.9735 -1.4928
C -4.2766 0.8761 -1.4281
C -5.0691 2.0126 -1.3946
N -2.0702 -0.1722 -1.4212
C -2.0161 -0.9730 -2.4761
C -2.6920 -0.6928 -3.7197
C -2.6720 -1.5599 -4.7729
C -1.9656 -2.7791 -4.7149
C -1.2608 -3.0597 -3.5741
C -1.2483 -2.1899 -2.4696
N -0.4466 -2.4340 -1.3614
N 0.1127 -3.5560 -1.3196
C 0.9810 -3.7461 -0.2228
C 1.4250 -5.0546 -0.0379
C 2.2493 -5.3338 1.0323
C 2.6067 -4.3010 1.8837
C 2.1345 -3.0272 1.6107
N 1.3429 -2.7488 0.5787
H -5.1046 4.1647 -1.3664
H -2.6312 4.3559 -1.4458
H -1.2303 2.3291 -1.4950
H -4.7232 -0.1104 -1.3858
H -6.1474 1.9121 -1.3338
H -3.2330 0.2389 -3.8085
H -3.2048 -1.2917 -5.6802
H -1.9482 -3.4528 -5.5622
H -0.6610 -3.9565 -3.4989
H 1.1064 -5.8096 -0.7428
H 2.6129 -6.3413 1.1977
H 3.2613 -4.4591 2.7295
H 2.4209 -2.1846 2.2270
N -1.5756 1.8067 3.9973
C -1.6848 1.6294 2.4905
C -3.0816 2.0824 2.0884
Assyrian Brutality
Lord Byron wrote that Assyrians went after their neighbors like a “wolf in the fold.” They forced captives to strip naked to show subservience to their captors and slaughtered those who dared to oppose them.
Bas-reliefs from the Chaldean campaign (7th century B.C.) show Assyrian victors making piles of heads of their victims, using battering rams and impaling captives.
Stone friezes at Nimrud and Ninevah show war chariots crushing enemy soldiers, women and children and an Assyrian king and queen enjoying drinks in a garden decorated with the head of an enemy leader dangling from a tree.
After one of his victories Assyrian King Ashurnasirpal bragged, “I cut off their heads; I burned them with fire; a pile of living men and of heads over against the city gate I set up; men I impaled on stakes; the city I destroyed…I turned it into mounds and ruin heaps; the young men and maidens I burned.
Misplaced records of molecules.
____________
Computed, not measured: a 14-piece molecular cluster, C5H38N2O14 overall at a distorted geometry, with the ωB97M-V functional and the def2-TZVPD basis.

For the energy above the lowest of the compared OMol25 structures with the same formula, charge and spin, the calculation gives 125.97 kcal per mole. The orbital gap is 8.4156 eV. The HOMO energy comes out at -8.43 eV. Its total energy is -1376.1115 Ha. The molar mass is 350.359 g mol⁻¹.

XYZ file:
```
59
Properties=species:S:1:pos:R:3:mulliken_charge:R:1
C 1.67859 -0.76834 -2.58569 -1.007
O 0.83289 -1.83513 -2.14296 -0.483
C 1.04846 0.55565 -2.09618 1.261
C 1.40592 0.77526 -0.61367 -1.255
C 0.35214 0.33185 0.35396 -0.550
C 0.63884 -0.61846 1.26537 -0.660
N -0.30534 -1.12322 2.11603 0.020
N 1.60177 1.65343 -2.91483 -0.575
H 2.53653 -0.96394 -1.93644 0.269
H 1.91163 -0.91663 -3.64295 0.331
H -0.03207 0.62103 -2.22310 0.026
H 2.23816 0.10768 -0.31846 0.431
H 1.60632 1.84567 -0.44052 0.215
H -0.59172 0.84402 0.37035 0.597
H 1.55077 -1.18223 1.37218 0.755
H -0.13218 -1.83431 2.80905 0.430
H -1.25626 -1.09828 1.74710 -0.217
H 2.13648 2.32026 -2.39091 0.185
H -0.05124 -1.85430 -2.52025 0.274
H 1.84792 1.45673 -3.86135 0.206
H 3.70234 -0.33371 3.40060 0.274
H 3.08882 0.40863 2.21280 0.279
O 3.00456 -0.39893 2.74342 -0.541
H 1.75208 -1.59803 3.58630 0.377
H 2.13272 -3.04454 3.08567 0.300
O 1.77706 -2.53386 3.81721 -0.660
H -1.45254 2.21432 -0.15300 0.325
H -1.73312 3.02740 -1.37018 0.333
O -0.99286 2.70008 -0.84664 -0.727
H -1.44802 -4.55310 0.82270 0.272
H -1.33259 -2.98924 0.58745 0.465
O -1.29291 -3.70306 1.23688 -0.645
H 2.02681 -3.34171 -0.23938 0.306
H 1.55136 -2.65665 0.89819 0.491
O 2.28929 -3.26118 0.69463 -0.627
H -2.01565 -0.77219 -4.48601 0.273
H -3.10492 -0.17394 -3.56331 0.294
O -2.44624 -0.87119 -3.63403 -0.586
H 0.45478 3.33409 0.76985 0.377
H 0.00265 2.15081 1.53330 0.389
O 0.45440 3.00461 1.67885 -0.838
H -1.98901 2.29947 3.51989 0.270
H -1.98257 0.98610 2.60671 0.298
O -2.27167 1.89806 2.70485 -0.648
H -0.99146 -1.30624 -1.03083 0.394
H -2.38103 -1.92428 -1.65267 0.183
O -1.72825 -1.93328 -0.94201 -0.651
H 2.39410 2.52285 1.67549 0.466
H 3.69768 2.07955 0.91372 0.322
O 3.32462 2.34193 1.75864 -0.752
H -3.66329 0.91587 0.53483 0.346
H -3.96048 1.92358 1.52753 0.345
O -4.26013 1.67321 0.64164 -0.710
H -2.25068 -1.13336 0.39823 0.228
H -3.44726 -1.12410 1.35742 0.199
O -2.79391 -0.52052 0.97944 -0.713
H -1.09357 2.37612 -2.67052 0.285
H -0.58919 1.95186 -3.92880 0.382
O -1.44952 2.04781 -3.51561 -0.630
```

Computed, not measured: a 14-piece molecular cluster, C5H38NO13 overall at a distorted geometry, with the ωB97M-V functional and the def2-TZVPD basis.

The charge is +1. For the energy above the lowest of the compared OMol25 structures with the same formula, charge and spin, the calculation gives 70.26 kcal per mole. The orbital gap is 10.8607 eV. The HOMO energy comes out at -13.59 eV. Its total energy is -1245.8640 Ha. The molar mass is 320.353 g mol⁻¹.

XYZ file:
```
57
____________
” Another Assyrian king boasted in 691 BC: “I cut their throats like sheep…My prancing steeds, trained to harness, plunged into their welling blood as into a river; the wheels of battle chariots were bespattered with blood and filth. I filled the plain with corpses of their warriors like herbage.”
The Assyrians reserved their wrath for the people who opposed them. Those that joined their empire were treated well. Among those that resisted the men were killed and the women and children was abducted and resettled in foreign land.
The women were encouraged to take new husbands. Cuneiform tables reveal that refugees were given food, shoes, oil and clothes.
The brutal images are found mostly in throne room of Ashurnasirpal’s palace and were intended to intimidate visiting dignitaries.
The rooms occupied by kings and queen had no such art. The adornments found there seemed to be there to ward off evil spirits.